Wanted.
Start at the top of the rows further down and return each line, ending with the one that has "0.5179 0.0937", please.
Data.
-- begin --
Here is Ti2Ni3Te3O16 after structural relaxation from the Materials Project. Energies are from GGA+U.

Cell lengths 10.5618, 6.0732, 9.3104 Å; angles 90.00, 91.37, 90.00 degrees
Last column: nearest neighbours and their distance in Å.
Space group Cm (No. 8)
Unique sites:
Ti  0.0000  0.0000  0.0000 x2  1 O 1.73
Ti  0.1851  0.5000  0.4470 x2  3 O 1.74-1.92
Ni  0.0357  0.5000  0.7499 x2  6 O 2.09-2.11
Ni  0.4440  0.2492  0.2555 x4  6 O 2.03-2.18
Te  0.1919  0.0000  0.2465 x2  6 O 1.91-2.02
Te  0.2843  0.2512  0.7450 x4  6 O 1.91-2.03
O  0.0340  0.5000  0.3694 x2  1 Ti 1.74
O  0.0406  0.0000  0.3572 x2  1 Te 1.92, 2 Ni 2.05
O  0.1032  0.2092  0.1130 x4  1 Ti 1.96, 1 Te 1.99, 1 Ni 2.18
O  0.1366  0.2780  0.6247 x4  1 Te 1.91, 1 Ni 2.09
O  0.2077  0.0000  0.8524 x2  2 Te 2.00
O  0.2111  0.5000  0.8629 x2  2 Te 2.03, 1 Ni 2.11
O  0.2669  0.2512  0.3616 x4  1 Ti 1.92, 1 Te 2.02, 1 Ni 2.14
O  0.3505  0.0000  0.1529 x2  1 Te 1.91, 2 Ni 2.03
O  0.3521  0.5000  0.6246 x2  2 Te 2.02
O  0.3618  0.0000  0.6364 x2  2 Te 2.02, 1 Ni 2.10
O  0.3753  0.5000  0.1168 x2  1 Ti 1.73
O  0.4396  0.2526  0.8556 x4  1 Te 1.92, 1 Ni 2.10, 1 Ti 2.10

## Properties
ΔE_f   -1.821 eV per atom
Uncorrected energy   -146.826 eV per formula unit

=====

Here is Ti3Ni3Te2O16 after structural relaxation from the Materials Project. Energies are from GGA+U.

Cell lengths 10.3892, 5.9091, 9.2343 Å; angles 90.00, 91.30, 90.00 degrees
Last column: nearest neighbours and their distance in Å.
Space group Cm (No. 8)
Unique sites:
Ti  0.0000  0.0000  0.0000 x2  6 O 1.89-2.08
Ti  0.0714  0.2511  0.5077 x4  6 O 1.89-2.05
Ni  0.2465  0.2533  0.0087 x4  4 O 1.87-2.00
Ni  0.3296  0.0000  0.5112 x2  6 O 2.01-2.12
Te  0.3197  0.5000  0.7338 x2  6 O 1.92-2.00
Te  0.4844  0.0000  0.2287 x2  6 O 1.93-2.00
O  0.0079  0.5000  0.6157 x2  2 Ti 1.90, 1 Ni 2.07
O  0.0613  0.2598  0.1155 x4  1 Te 1.95, 1 Ti 1.97
O  0.1321  0.5000  0.3706 x2  1 Te 2.00, 2 Ti 2.05
O  0.1521  0.0000  0.4205 x2  2 Ti 1.89, 1 Ni 2.01
O  0.1642  0.0000  0.9162 x2  1 Ti 1.89, 2 Ni 1.91
O  0.1806  0.5000  0.8780 x2  1 Te 1.99, 2 Ni 2.00
O  0.2409  0.2636  0.6193 x4  1 Te 1.92, 1 Ti 2.02, 1 Ni 2.08
O  0.3211  0.0000  0.1244 x2  1 Te 1.93, 2 Ni 1.99
O  0.3240  0.5000  0.1033 x2  2 Ni 1.87, 1 Ti 2.08
O  0.4050  0.2861  0.8680 x4  1 Te 1.97, 1 Ti 2.00, 1 Ni 2.13
O  0.4233  0.2236  0.3686 x4  1 Te 1.96, 1 Ti 1.99, 1 Ni 2.12
O  0.4761  0.5000  0.6112 x2  1 Te 2.00, 2 Ti 2.03

## Properties
ΔE_f   -2.021 eV per atom
Uncorrected energy   -156.381 eV per formula unit

=====

What is the uncorrected energy in the first record? -146.826 eV per formula unit

~~~~~

(1)
Gd4P6H16O23 | Materials Project | PBE | optimized geometry; volume = 11.83 Å³/atom; formation energy = -2.22 eV/atom
1.0
6.9865 0.0139 -0.0280
-3.3364 12.0598 -4.3463
0.0915 0.0007 13.7504
Gd P H O
8 12 32 46
direct
0.3260 0.6181 0.8986
0.6740 0.3819 0.1014
0.8428 0.1177 0.9005
0.1572 0.8823 0.0995
0.4922 0.6379 0.6199
0.9767 0.8665 0.3719
0.0233 0.1335 0.6281
0.5078 0.3621 0.3801
0.3389 0.3997 0.6414
0.4931 0.8536 0.8815
0.5069 0.1464 0.1185
0.0187 0.4116 0.3079
0.9813 0.5884 0.6921
0.6611 0.6003 0.3586
0.9936 0.6500 0.1192
0.8812 0.8963 0.6483
0.1188 0.1037 0.3517
0.0064 0.3500 0.8808
0.5179 0.0937 0.6849
0.4821 0.9063 0.3151
0.4064 0.3569 0.9046
0.7332 0.5760 0.9435
0.2815 0.0964 0.8610
0.0266 0.8561 0.6831
0.8928 0.8460 0.8994
0.3717 0.8974 0.8340
0.9864 0.2469 0.1248
0.8827 0.3860 0.8262
0.7185 0.9036 0.1390
0.4936 0.3601 0.6674
0.2680 0.4114 0.1666
0.9434 0.4721 0.6553
0.4772 0.7384 0.1261
0.1950 0.6971 0.5266
0.5322 0.0231 0.3511
0.5228 0.2616 0.8739
0.2668 0.4240 0.0565
0.5064 0.6399 0.3326
0.9734 0.1439 0.3169
0.6430 0.2278 0.5202
0.4678 0.9769 0.6489
0.0566 0.5279 0.3447
0.6283 0.1026 0.1660
0.0136 0.7531 0.8752
0.7716 0.9322 0.0385
0.1173 0.6140 0.1738
0.8050 0.3029 0.4734
0.5936 0.6431 0.0954
0.3570 0.7722 0.4798
0.7320 0.5886 0.8334
0.1072 0.1540 0.1006
0.2284 0.0678 0.9615
0.5737 0.1305 0.8037
0.5047 0.7403 0.8056
0.3318 0.1281 0.6661
-- stop --
Written answer.
Here is Ti2Ni3Te3O16 after structural relaxation from the Materials Project. Energies are from GGA+U.

Cell lengths 10.5618, 6.0732, 9.3104 Å; angles 90.00, 91.37, 90.00 degrees
Last column: nearest neighbours and their distance in Å.
Space group Cm (No. 8)
Unique sites:
Ti  0.0000  0.0000  0.0000 x2  1 O 1.73
Ti  0.1851  0.5000  0.4470 x2  3 O 1.74-1.92
Ni  0.0357  0.5000  0.7499 x2  6 O 2.09-2.11
Ni  0.4440  0.2492  0.2555 x4  6 O 2.03-2.18
Te  0.1919  0.0000  0.2465 x2  6 O 1.91-2.02
Te  0.2843  0.2512  0.7450 x4  6 O 1.91-2.03
O  0.0340  0.5000  0.3694 x2  1 Ti 1.74
O  0.0406  0.0000  0.3572 x2  1 Te 1.92, 2 Ni 2.05
O  0.1032  0.2092  0.1130 x4  1 Ti 1.96, 1 Te 1.99, 1 Ni 2.18
O  0.1366  0.2780  0.6247 x4  1 Te 1.91, 1 Ni 2.09
O  0.2077  0.0000  0.8524 x2  2 Te 2.00
O  0.2111  0.5000  0.8629 x2  2 Te 2.03, 1 Ni 2.11
O  0.2669  0.2512  0.3616 x4  1 Ti 1.92, 1 Te 2.02, 1 Ni 2.14
O  0.3505  0.0000  0.1529 x2  1 Te 1.91, 2 Ni 2.03
O  0.3521  0.5000  0.6246 x2  2 Te 2.02
O  0.3618  0.0000  0.6364 x2  2 Te 2.02, 1 Ni 2.10
O  0.3753  0.5000  0.1168 x2  1 Ti 1.73
O  0.4396  0.2526  0.8556 x4  1 Te 1.92, 1 Ni 2.10, 1 Ti 2.10

## Properties
ΔE_f   -1.821 eV per atom
Uncorrected energy   -146.826 eV per formula unit

=====

Here is Ti3Ni3Te2O16 after structural relaxation from the Materials Project. Energies are from GGA+U.

Cell lengths 10.3892, 5.9091, 9.2343 Å; angles 90.00, 91.30, 90.00 degrees
Last column: nearest neighbours and their distance in Å.
Space group Cm (No. 8)
Unique sites:
Ti  0.0000  0.0000  0.0000 x2  6 O 1.89-2.08
Ti  0.0714  0.2511  0.5077 x4  6 O 1.89-2.05
Ni  0.2465  0.2533  0.0087 x4  4 O 1.87-2.00
Ni  0.3296  0.0000  0.5112 x2  6 O 2.01-2.12
Te  0.3197  0.5000  0.7338 x2  6 O 1.92-2.00
Te  0.4844  0.0000  0.2287 x2  6 O 1.93-2.00
O  0.0079  0.5000  0.6157 x2  2 Ti 1.90, 1 Ni 2.07
O  0.0613  0.2598  0.1155 x4  1 Te 1.95, 1 Ti 1.97
O  0.1321  0.5000  0.3706 x2  1 Te 2.00, 2 Ti 2.05
O  0.1521  0.0000  0.4205 x2  2 Ti 1.89, 1 Ni 2.01
O  0.1642  0.0000  0.9162 x2  1 Ti 1.89, 2 Ni 1.91
O  0.1806  0.5000  0.8780 x2  1 Te 1.99, 2 Ni 2.00
O  0.2409  0.2636  0.6193 x4  1 Te 1.92, 1 Ti 2.02, 1 Ni 2.08
O  0.3211  0.0000  0.1244 x2  1 Te 1.93, 2 Ni 1.99
O  0.3240  0.5000  0.1033 x2  2 Ni 1.87, 1 Ti 2.08
O  0.4050  0.2861  0.8680 x4  1 Te 1.97, 1 Ti 2.00, 1 Ni 2.13
O  0.4233  0.2236  0.3686 x4  1 Te 1.96, 1 Ti 1.99, 1 Ni 2.12
O  0.4761  0.5000  0.6112 x2  1 Te 2.00, 2 Ti 2.03

## Properties
ΔE_f   -2.021 eV per atom
Uncorrected energy   -156.381 eV per formula unit

=====

What is the uncorrected energy in the first record? -146.826 eV per formula unit

~~~~~

(1)
Gd4P6H16O23 | Materials Project | PBE | optimized geometry; volume = 11.83 Å³/atom; formation energy = -2.22 eV/atom
1.0
6.9865 0.0139 -0.0280
-3.3364 12.0598 -4.3463
0.0915 0.0007 13.7504
Gd P H O
8 12 32 46
direct
0.3260 0.6181 0.8986
0.6740 0.3819 0.1014
0.8428 0.1177 0.9005
0.1572 0.8823 0.0995
0.4922 0.6379 0.6199
0.9767 0.8665 0.3719
0.0233 0.1335 0.6281
0.5078 0.3621 0.3801
0.3389 0.3997 0.6414
0.4931 0.8536 0.8815
0.5069 0.1464 0.1185
0.0187 0.4116 0.3079
0.9813 0.5884 0.6921
0.6611 0.6003 0.3586
0.9936 0.6500 0.1192
0.8812 0.8963 0.6483
0.1188 0.1037 0.3517
0.0064 0.3500 0.8808
0.5179 0.0937 0.6849